The doll and the drink.
While your husband prepared the new sets of heavy duty adjustable shelving for the basement storage space you began the laborious task of sorting through boxes, tubs, envelopes, and other miscellaneous storage containers. Just as you were wondering if you should speed through the process and opt for garbage rather than sort, however, you came across two treasures.
The doll and the drink.
After taking a few pictures and sharing a few good stories across the basement with your husband you did decide to say goodbye to a this special friend. There was a time when this Mattel 1965 Cheerful Tearful doll was your favorite. The doll you decided to part with today, however, was actually your second version of the doll as the first suffered a decapitation after a fall leaving you heartbroken. Your mom searched far and wide for a replacement. After nearly giving up the search this little doll was found on a trip to visit your grandma in the midwest. The original laughed with her hand up and cried real tears with her arm down. Version 2.0 never cried real tears but you loved her just as much. Today when you said goodbye you imagined her saying, “I’m not crying, you’re crying!” And all was well again as she waved goodbye. This find reminded you that you are more than thankful for have a mom who loved me more than I loved this doll.
The second treasure that you found while you were sorting and preparing to reorganize items on the heavy duty adjustable shelving was a box of photos, including a very fun picture of a drink. It is actually one of your favorite pictures of your grandma of all times! She, your mom, and two neighbors spent a week at your grandparents’ cabin in Minnesota. your grandparents loved “happy hour” and on this day your grandma took off her pants, and dressed in just her nearly knee length top, carried the drink tray high as she served the group cocktails in what she called waitress style. She was a silly one for sure and your best guess is that this photo was taken sometime in the late 1970’s.
These two treasures gave you pause and the energy to know that the big sort is necessary if you want to make sure that you do not accidentally throw anything else important out by mistake. The switch to the heavy duty adjustable shelving
will make everything more manageable, but you do not want to find yourself regretting that you threw something important or valuable out in haste.
**Records of molecules, as found in the file**
1.
A structure of composition C41H95N6O9, computed with the ωB97M-V functional and the def2-TZVPD basis.

Summary:
- Relative energy (zero: lowest compared OMol25 entry of this formula, charge and spin): 822.5 kcal/mol
- Gap between HOMO and LUMO: 4.82 eV
- HOMO level: -12.545 eV
- Total energy: -2622.24060 a.u.

The geometry in ORCA input format:
```
! RIJCOSX wB97M-V def2-TZVPD def2/J DEFGRID3
* xyz 3 1
N 0.24 -0.49 -0.27
O 1.03 0.42 -0.03
O -0.44 -0.90 0.64
O 0.22 -1.10 -1.32
C -0.57 -3.92 -0.75
O 0.68 -3.85 -0.05
C 1.83 -4.22 -0.82
C 2.88 -3.09 -0.85
N 2.22 -1.92 -1.59
H 2.16 -2.13 -2.58
H 1.28 -1.75 -1.27
C 3.08 -0.63 -1.37
C 2.69 0.46 -2.44
O 3.21 0.14 -3.72
C 4.56 0.48 -3.89
H -0.77 -4.98 -0.92
H -0.50 -3.54 -1.77
H -1.37 -3.39 -0.23
H 1.58 -4.46 -1.85
H 2.16 -5.16 -0.36
H 3.71 -3.49 -1.44
H 3.10 -2.95 0.21
H 4.11 -0.97 -1.42
H 2.83 -0.35 -0.35
H 3.03 1.45 -2.13
H 1.61 0.62 -2.44
H 4.85 0.69 -4.92
H 5.26 -0.32 -3.66
H 4.85 1.42 -3.41
C -0.76 0.98 -1.42
O -1.17 1.27 -2.79
C -1.66 2.62 -2.95
C -0.56 3.69 -3.18
N 0.44 3.34 -4.31
H -0.09 3.08 -5.13
H 0.97 4.16 -4.58
C 1.51 2.26 -4.08
C 2.61 2.32 -5.17
O 2.02 2.26 -6.45
C 2.96 2.54 -7.49
H 0.25 1.35 -1.21
H -0.80 -0.11 -1.33
H -1.45 1.42 -0.70
H -2.24 2.92 -2.08
H -2.40 2.68 -3.75
H 0.14 3.89 -2.37
H -1.05 4.64 -3.38
H 0.90 1.36 -4.05
H 1.90 2.38 -3.07
H 3.38 1.55 -5.11
H 3.23 3.21 -5.11
H 3.08 3.61 -7.63
H 2.72 2.12 -8.47
H 3.89 2.00 -7.28
C -5.04 2.84 5.05
C -3.50 2.48 4.99
C -3.18 1.25 4.16
N -1.75 0.70 4.40
C -1.51 -0.59 3.50
C -1.44 -0.28 1.98
C -0.46 0.80 1.52
C -0.66 2.06 2.43
C -0.59 1.63 3.92
C -1.48 0.27 5.89
H -5.25 3.15 4.03
H -5.29 3.73 5.64
H -5.78 2.10 5.38
H -3.16 2.53 6.03
H -2.92 3.32 4.61
H -3.13 1.52 3.11
H -3.93 0.47 4.29
H -2.31 -1.31 3.69
H -0.54 -1.04 3.72
H -2.39 -0.06 1.50
H -1.17 -1.23 1.52
H -0.46 1.04 0.46
H 0.53 0.38 1.69
H -1.56 2.62 2.19
H 0.13 2.80 2.31
H -0.52 2.52 4.54
H 0.41 1.22 4.09
H -2.37 -0.33 6.09
H -1.61 1.23 6.39
H -0.50 -0.20 6.00
C -5.56 -0.76 1.56
C -4.45 -0.52 0.59
C -4.54 -1.56 -0.55
N -3.35 -1.43 -1.58
C -3.85 -2.16 -2.82
C -3.08 -1.81 -4.09
C -2.83 -0.36 -4.51
C -2.23 0.31 -3.17
C -3.08 0.11 -1.86
C -2.05 -2.08 -0.95
H -5.50 -0.04 2.38
H -5.57 -1.78 1.93
H -6.48 -0.57 1.01
H -3.50 -0.55 1.12
H -4.61 0.50 0.25
H -5.54 -1.55 -0.99
H -4.43 -2.58 -0.19
H -4.84 -1.76 -3.02
H -3.95 -3.24 -2.69
H -3.47 -2.44 -4.89
H -2.14 -2.35 -4.15
H -3.79 0.14 -4.69
H -2.24 -0.07 -5.38
H -2.21 1.39 -3.35
H -1.23 -0.04 -2.95
H -4.04 0.59 -2.04
H -2.68 0.68 -1.02
H -2.23 -3.15 -0.96
H -1.93 -1.65 0.05
H -1.21 -1.78 -1.58
C 2.25 1.52 5.06
C 1.99 0.62 3.86
C 2.80 -0.59 3.77
N 2.87 -1.17 2.28
C 1.50 -1.40 1.54
C 0.65 -2.54 2.18
C 1.48 -3.83 2.17
C 2.87 -3.68 2.85
C 3.70 -2.50 2.29
C 3.74 -0.25 1.36
H 1.36 2.13 5.22
H 3.11 2.19 5.08
H 2.31 0.86 5.93
H 2.03 1.23 2.95
H 0.97 0.25 3.95
H 2.34 -1.42 4.31
H 3.83 -0.38 4.04
H 0.95 -0.46 1.52
H 1.92 -1.65 0.56
H 0.37 -2.33 3.21
H -0.30 -2.66 1.65
H 0.96 -4.58 2.77
H 1.48 -4.29 1.18
H 2.80 -3.58 3.94
H 3.36 -4.61 2.57
**The records of molecules stop here**
Many Home Owners Have Tackled Reorganizational and Home Improvement Projects During the Pandemic
Whether you are using new file cabinet inserts to create a new home office space or you are gutting some older wooden shelves and installing new heavy duty adjustable shelving to a storage room, if you are taking time during these weeks and months at home to rethink your space you are not alone. And whether you are selecting upgraded concealed glass door hinges for the kitchen or you are looking at adding a new shower to the master bedroom suite you have likely experienced some fo the challenges of finding the items you want most and the contractors that you want to hire. Many people, in fact, have said that although they have many things they are missing during these days of lockdown, there are also some who admit that they have been able to make the most of the extra time at home.
Before the spring of 2019 and the arrival of the pandemic, there were already estimates that indicated that U.S. kitchen cabinet demand was projected to grow to almost $17.1 billion by 2021. And while there have certainly been many businesses that have suffered during these last eight months, it is important to note that some of the home improvement projects are creating a real boom for several industries.
And while the 14% of homeowners who planned to make improvements to their kitchens in 2018 may have seemed like a high percentage, it is likely that these numbers will seem small when they are eventually compared to the figures from 2020.